(Request)
Your job: work out how many lines further down have the word "eV" in them; a number is enough.

(Entries)
~~~
DFT (the ωB97M-V functional and the def2-TZVPD basis) results for C4H3I in the gas phase.

The orbital gap (spin up / spin down) is 7.9 / 7.3 eV. The HOMO energy (spin up / spin down) is -9.30 / -8.40 eV. The energy above the lowest of the compared OMol25 structures with the same formula, charge and spin comes out at 81.3 kcal/mol. The charge is 0. The largest force on an atom is 5.1 eV/A. Its total energy is -451.6849 hartree.

XYZ file:
```
8
Properties=species:S:1:pos:R:3:forces:R:3
C -2.1523 0.6125 -0.0298 1.56 1.15 -1.93
C -0.7660 0.7520 -0.2153 -0.83 0.84 -0.09
C 1.2329 -0.8749 -0.1074 -0.16 3.41 3.76
C 0.2161 -0.0904 0.0458 1.07 -1.65 0.10
I 2.9634 -0.5499 1.1502 -0.68 -0.29 -0.42
H -2.5569 0.1899 0.8252 -0.60 -1.00 1.76
H -0.2866 1.5069 -0.8443 -0.93 0.48 -0.24
H 1.3494 -1.5461 -0.8243 0.59 -2.95 -2.95
```
Forces are in eV/Å.



DFT (the ωB97M-V functional and the def2-TZVPD basis) results for C4H3I in the gas phase.

The orbital gap is 9.5 eV. The HOMO energy is -9.12 eV. The energy above the lowest of the compared OMol25 structures with the same formula, charge and spin comes out at 53.0 kcal/mol. The charge is 0. The largest force on an atom is 4.7 eV/A. Its total energy is -451.7300 hartree.

XYZ file:
```
8
Properties=species:S:1:pos:R:3:forces:R:3
I -3.0715 0.1798 -0.0007 -0.18 0.08 0.04
C -1.0473 -0.0670 0.0166 -0.91 -0.36 0.47
C -0.1936 -1.0970 0.3721 0.17 1.31 -0.92
C 1.0173 -0.3089 -0.2941 -4.21 0.88 0.37
C 0.0611 0.7511 0.1780 0.61 -3.46 -1.97
H 1.9029 -0.4473 0.1116 4.25 -0.40 2.07
H 1.0167 -0.3824 -1.3179 -0.01 -0.42 -2.25
H 0.3144 1.3717 0.9343 0.29 2.37 2.19
```
Forces are in eV/Å.



Question: Among the records above, which one has the highest largest force on an atom?
Answer: number 1

~~~~~

Below is a 2-piece molecular cluster, C2H2FNO2 overall at a distorted geometry, with properties calculated with the ωB97M-V functional and the def2-TZVPD basis.

```
8
Properties=species:S:1:pos:R:3:mulliken_charge:R:1
O 2.60538 0.93023 0.39246 -0.3191
C 1.90490 0.23073 -0.19854 0.5981
C 1.29595 -0.38875 -1.18341 -0.3610
F 1.77692 -1.63597 -1.46705 -0.2454
H 0.44586 -0.29382 -1.73433 0.3209
N -2.25838 0.27250 -0.01834 -0.0063
O -1.66386 1.21489 0.43355 -0.2001
H -3.35165 0.24428 -0.11023 0.2128
```

Energy relative to the best compared isomer or geometry (same formula, charge and spin) (eV): 5.719
E_HOMO (alpha / beta) (Eh): -0.33239 / -0.33239
SMILES: O=C=CF.N=O

~~~~~

68
Properties=species:S:1:pos:R:3 method="wB97M-V/def2-TZVPD" de_lowest_kcal_mol=20.89 gap_ha=0.41560 homo_energy_ev=-11.1
C -0.27752 -1.06966 -3.22440
C -1.43731 -0.75507 -4.11254
C -2.06934 0.57629 -3.79822
C -1.21305 1.73501 -4.23898
N -0.40807 2.55797 -4.31976
H 0.30123 -1.91828 -3.57896
H -0.69599 -1.37225 -2.21723
H 0.39063 -0.22459 -3.06735
H -2.27922 -1.45564 -4.02596
H -1.08512 -0.77436 -5.16805
H -2.32904 0.57107 -2.73505
H -3.07756 0.70539 -4.28795
C 1.09882 1.95758 3.35219
C 0.89562 0.46179 3.02437
C 2.16542 -0.26358 2.69807
C 3.04285 0.35708 1.65332
N 3.78494 0.84144 0.90300
H 1.82018 2.06433 4.20602
H 0.10167 2.33969 3.59439
H 1.43983 2.51360 2.51059
H 0.23182 0.39750 2.16257
H 0.38787 -0.00675 3.83001
H 1.88279 -1.26593 2.30523
H 2.78371 -0.61740 3.50209
C -5.09429 1.38072 2.28979
C -3.96754 0.63687 1.61681
C -3.05248 1.30018 0.61284
C -2.33269 2.50847 1.13656
N -1.76184 3.35126 1.61323
H -5.66305 2.12470 1.68087
H -4.58348 1.96419 3.03125
H -5.77728 0.68333 2.79465
H -4.40692 -0.22105 1.09981
H -3.38093 0.13240 2.36468
H -3.71738 1.53576 -0.26842
H -2.25449 0.63039 0.26077
C 2.30995 3.16527 -2.51098
C 1.10855 3.92556 -1.94905
C 0.34530 3.30903 -0.73842
C 0.45024 1.82355 -0.62755
N 0.41970 0.67439 -0.58326
H 2.85242 3.01155 -1.55641
H 2.91307 3.80780 -3.15584
H 1.99709 2.27559 -3.11863
H 0.32964 4.00413 -2.71186
H 1.41750 4.91150 -1.68530
H -0.73429 3.60368 -0.85598
H 0.71639 3.69916 0.27118
C 1.96519 -2.76481 -0.15654
C 3.20879 -3.37853 0.43951
C 4.54125 -3.23584 -0.33579
C 4.37548 -4.10799 -1.57112
N 4.32259 -4.81763 -2.45805
~~~

(Done)
5